Can travel make you smarter? | Column

I never feel more enlightened, more inspired, more educated than when I travel, especially to far-flung and exotic places. Without fail, I come back a different person, feeling enriched and full of gratitude for what life has to offer.

I never feel more enlightened, more inspired, more educated than when I travel, especially to far-flung and exotic places. Without fail, I come back a different person, feeling enriched and full of gratitude for what life has to offer.

Traveling can broaden your horizon, both literally and figuratively speaking, and that is nothing new. As Mark Twain once famously said, “Travel is fatal to prejudice, bigotry and narrow-mindedness.” But can it also improve our mental capacities? Scientists in Germany, who conducted a recent study of how our minds respond to new experiences that come with travel and exploration, say yes. And it does not only apply to humans. Even the tiny brains of lab mice seem to benefit from roaming around.

For the study, the researchers kept 60 adult, female, genetically identical mice in a large enclosure that provided what they called an “enriched environment” where multiple objects and arrangements challenged the animals to interact with unfamiliar and changing surroundings. They divided them in three groups, one of which they exposed to the richest environment, providing numerous learning opportunities; the second group was limited to smaller, much less stimulating spaces; the third was used as the control group.

To measure the amount of encounters with new events each group faced for the duration of the experiment, a total of 105 days, the mice were outfitted with tracking devices and monitored with sensors placed all around them.

As it turned out, the group that was allowed the most exploratory activity clearly developed a greater amount of hippocampal neurogenesis, meaning they showed significantly more activity in the hippocampus, a region in the brain that is primarily responsible for learning, than their less adventurous, more homebound counterparts.

“Those who move around a lot have many more experiences,” said Dr. Gerd Kempermann, a neurologist and one of the authors of the study, in an interview with the German newsmagazine Der Spiegel. “The brains of active individuals produce additional neurons in anticipation of more experiences to come and to deal with them effectively.”

What are the implications for us humans, if any? “If experiences and lifestyle choices have such a great influence on the individual structure of the brain in mice, chances are that this happens for us even more so,” Dr. Kempermann added.

Unrelated to this piece: calculated crystals:
+++
The following is a PBE calculation of ScTiIr after structural relaxation, from Alexandria via LeMat-Bulk.

a b c (Å): 6.585 7.904 7.904
angles (deg): 67.25 65.38 65.38
Sites, in units of the cell vectors:
Sc 0.176 0.038 0.538
Sc 0.753 0.962 0.462
Sc 0.330 0.750 0.250
Sc 0.330 0.250 0.750
Sc 0.753 0.462 0.962
Sc 0.176 0.538 0.038
Ti 0.004 0.000 0.000
Ti 0.004 0.500 0.500
Ti 0.754 0.375 0.374
Ti 0.503 0.625 0.626
Ti 0.503 0.126 0.125
Ti 0.754 0.874 0.875
Ir 0.753 0.250 0.750
Ir 0.753 0.750 0.250
Ir 0.087 0.167 0.166
Ir 0.420 0.833 0.834
Ir 0.420 0.334 0.333
Ir 0.087 0.666 0.667

The space group is P-62m (189). For the energy above the lowest structure with this stoichiometry, the calculation gives 0.0000 eV per atom. For the total energy, the calculation gives -8.4335 eV per atom. Its energy of formation is -0.74 eV/atom. The crystal system is hexagonal. The calculation puts the total magnetization at 0.0000 μB per atom.

=====

# CoTePb2O6

An optimized crystal structure of CoTePb2O6 (PBE+U, the Open Quantum Materials Database).

a = 5.643 Å, b = 5.643 Å, c = 5.643 Å
α = 119.35°, β = 60.65°, γ = 119.35°
Site moments in Bohr magnetons follow the coordinates.
Fractional positions:
Co: 0.000 0.000 0.000  2.72
O: 0.737 0.691 0.210  0.04
O: 0.691 0.210 0.263  0.03
O: 0.210 0.263 0.309  0.04
O: 0.790 0.737 0.691  0.04
O: 0.309 0.790 0.737  0.03
O: 0.263 0.309 0.790  0.04
Pb: 0.251 0.749 0.251  0.00
Pb: 0.749 0.251 0.749  0.00
Te: 0.500 0.500 0.500  0.04

Excess energy over the best structure of this formula in the dataset = 0 meV per atom

=====

[1]
Material: MnW2SeCl
Method: DFT, PBE-GGA
State: relaxed

Output
total DFT energy (no corrections): -6.5778 eV per atom
formation energy (no corrections): 725 kJ/mol of formula units

The structure in CIF format:
```
data_MnW2SeCl
_chemical_formula_sum 'Mn1 W2 Se1 Cl1'
_cell_length_a 4.650
_cell_length_b 4.650
_cell_length_c 4.422
_cell_angle_alpha 90.00
_cell_angle_beta 90.00
_cell_angle_gamma 90.00
_symmetry_space_group_name_H-M 'P 4/m m m'
_symmetry_Int_Tables_number 123
_symmetry_space_group_name_Hall '-P 4 2'
loop_
_atom_site_label
_atom_site_type_symbol
_atom_site_fract_x
_atom_site_fract_y
_atom_site_fract_z
Mn1 Mn 0.000 0.000 0.000
W1 W 0.000 0.500 0.000
Se1 Se 0.000 0.000 0.500
Cl1 Cl 0.500 0.500 0.500
```

***

[2]
Material: AlCoPb2N
Method: DFT, PBE-GGA
State: relaxed

Output
total DFT energy (no corrections): -4.8337 eV per atom
formation energy (no corrections): 234 kJ/mol of formula units

The structure in CIF format:
```
data_AlCoPb2N
_chemical_formula_sum 'Al1 Co1 Pb2 N1'
_cell_length_a 5.321
_cell_length_b 5.321
_cell_length_c 3.535
_cell_angle_alpha 90.00
_cell_angle_beta 90.00
_cell_angle_gamma 90.00
_symmetry_space_group_name_H-M 'P 4/m m m'
_symmetry_Int_Tables_number 123
_symmetry_space_group_name_Hall '-P 4 2'
loop_
_atom_site_label
_atom_site_type_symbol
_atom_site_fract_x
_atom_site_fract_y
_atom_site_fract_z
Al1 Al 0.000 0.000 0.000
Co1 Co 0.500 0.500 0.000
Pb1 Pb 0.000 0.500 0.500
+++

Other clinical studies have long suggested that stimulating the mind through lifetime learning can slow down, if not prevent, age-related mental decline like memory loss and dementia. A high level of education acquired early in life seems to be of advantage as well because already established neural connections become reinforced with later learning, a process that is known as “neural redundancy.”

Obviously, filling one’s passport with more stamps by itself does not add more IQ points.

But openness and curiosity, the willingness to question old views and convictions, and seeing the world from different angles can keep us young at heart, which includes the mind.